SALYERSVILLE – The Salyersville City Council met in regular session on Monday, February 19, discussing the Salyersville Water Works bills and holding a first reading of an ordinance for shelter management.
Eric Ratliff with Big Sandy Area Development District explained a resolution the council adopted in the meeting for Salyersville Water Works, combining two grants to replace the SCATA telemetry system at the water plant, which has already been bid out.
Ratliff said he has also finished the environmental review for the Mountain Parkway Landscape and Signage Implementation Plan, which is online now. The City will have to approve the plan and it will have to be sent to HUD before the funding can be released for the project, estimated to start by the end of next month. Ratliff said he would get sign-in information for the city so they can review the environmental review.
The council approved the minutes from the December 18 and January 8 meetings, as well as the city bills.
They also discussed the Salyersville Water Work bills, with council member Patricia Frazier questioning the $9,500 bill on the security system and $4,900 in security cameras for the sewer plant, which Mayor Stanley Howard attributed all to decisions made before the council took over control of the city water company.
They questioned the over $8,500 to Kentucky Water for lighting for sewer and water plant, but Howard said he thinks that was probably a typo and should have been Kentucky Power, though there was also a bill for $27,000 for Kentucky Power. Howard said that one should be for the sewer plant since that’s what it runs each month. Howard said he would double check those bills, though.
Mayor Howard also said they are paying $2,000 a week to the chemical company, on top of the costs for the chemicals, so $5,000 to $7,000 for 10 days in chemicals in total. He said they are working to pay off some of the smaller debts, and then start working on getting some of the larger bills lowered.
Councilman Paul Montgomery also asked about a $1,600 dollar store bill on the Water Works bills, but Howard, again, reiterated that was before they took over the city water company. They talked about the cell phone bill, suggesting a radio system, possibly, though Howard said the costs would be about the same.
After much discussion, the council approved the Water Works bills.
**These data records were left in the piece by mistake**
'''
(1)
Starting from a structure optimized by DFT (GGA-PBE), the powder X-ray diffraction pattern of Er4Tl2Ag3 was calculated for CuKα.
Lines closer than 0.1° are merged.

Atomic structure:
Cell lengths 5.5189, 5.5189, 9.2488 Å; angles 101.52, 101.52, 52.88 degrees
Fractional positions:
Er  0.0545  0.0545  0.3410
Er  0.3594  0.3594  0.1041
Er  0.6406  0.6406  0.8959
Er  0.9455  0.9455  0.6590
Tl  0.2765  0.2765  0.7435
Tl  0.7235  0.7235  0.2565
Ag  0.0000  0.0000  0.0000
Ag  0.3632  0.3632  0.4314
Ag  0.6368  0.6368  0.5686

Largest 10 diffraction maxima, sorted by position, 10 to 90 degrees two-theta:
2θ = 30.02°, I 189
2θ = 32.94°, I 404
2θ = 33.33°, I 557
2θ = 34.44°, I 1000
2θ = 36.58°, I 670
2θ = 38.69°, I 189
2θ = 42.54°, I 116
2θ = 48.01°, I 106
2θ = 54.29°, I 140
2θ = 64.47°, I 161


(2)
Starting from a structure optimized by DFT (GGA-PBE), the powder X-ray diffraction pattern of Er4TlAg5 was calculated for CuKα.
Lines closer than 0.1° are merged.

Atomic structure:
Cell lengths 3.6334, 3.6334, 17.6417 Å; angles 90.00, 90.00, 90.00 degrees
Fractional positions:
Er  0.0000  0.0000  0.1024
Er  0.0000  0.0000  0.3058
Er  0.0000  0.0000  0.6942
Er  0.0000  0.0000  0.8976
Tl  0.0000  0.0000  0.5000
Ag  0.5000  0.5000  0.0000
Ag  0.5000  0.5000  0.2050
Ag  0.5000  0.5000  0.3974
Ag  0.5000  0.5000  0.6026
Ag  0.5000  0.5000  0.7950

Largest 10 diffraction maxima, sorted by position, 10 to 90 degrees two-theta:
2θ = 34.92°, I 529
2θ = 35.46°, I 1000
2θ = 50.22°, I 187
2θ = 51.82°, I 80
2θ = 62.98°, I 368
2θ = 64.02°, I 168
2θ = 75.05°, I 105
2θ = 84.28°, I 84
2θ = 84.60°, I 82
2θ = 87.10°, I 70


(3)
Starting from a structure optimized by DFT (GGA-PBE), the powder X-ray diffraction pattern of Er3Tl3Ag2 was calculated for CuKα.
Lines closer than 0.1° are merged.

Atomic structure:
Cell lengths 6.0632, 6.0632, 15.4452 Å; angles 90.00, 90.00, 134.71 degrees
Fractional positions:
Er  0.0805  0.9195  0.6095
Er  0.0805  0.9195  0.8905
Er  0.3393  0.6607  0.7500
Er  0.6607  0.3393  0.2500
Er  0.9195  0.0805  0.1095
Er  0.9195  0.0805  0.3905
Tl  0.3765  0.6235  0.5373
Tl  0.3765  0.6235  0.9627
Tl  0.3826  0.6174  0.2500
Tl  0.6174  0.3826  0.7500
Tl  0.6235  0.3765  0.0373
Tl  0.6235  0.3765  0.4627
Ag  0.2073  0.7927  0.1152
Ag  0.2073  0.7927  0.3848
Ag  0.7927  0.2073  0.6152
Ag  0.7927  0.2073  0.8848

Largest 10 diffraction maxima, sorted by position, 10 to 90 degrees two-theta:
2θ = 30.68°, I 164
2θ = 31.10°, I 1000
2θ = 31.99°, I 235
2θ = 32.52°, I 196
2θ = 35.39°, I 747
2θ = 38.56°, I 460
2θ = 38.71°, I 361
2θ = 44.12°, I 140
2θ = 61.29°, I 133
2θ = 65.16°, I 142


(4)
Starting from a structure optimized by DFT (GGA-PBE), the powder X-ray diffraction pattern of Er3Tm2Ag3 was calculated for CuKα.
Lines closer than 0.1° are merged.

Atomic structure:
Cell lengths 11.1321, 11.1321, 11.1321 Å; angles 161.32, 152.95, 33.07 degrees
Fractional positions:
Er  0.0000  0.0000  0.0000
Er  0.3791  0.8791  0.5000
Er  0.6209  0.1209  0.5000
'''
The council also held the first reading of an ordinance regarding shelter management, which was based off of an ordinance sent from the League of Cities. Attorney Jeff Lovely said he tailored the ordinance to the city’s needs. Howard said it is made to protect the citizens and the people who would be entering the homeless shelter. Lovely said he expects they will have changes to the ordinance and how the shelter is ran overall since this is a new endeavor here, but this will be a good starting off point so the city has some control over what is happening. The ordinance includes safeguards on how many people can be housed at the shelter at one time, going by square footage, and requiring training and supervision, background checks, etc., noting that it will help keep the operations as safe as possible, but the homeless shelter will have to submit a plan to the city prior to opening. The ordinance will not go into effect until the council is able to hold a second reading.
The next regular meeting of the Salyersville City Council is tentatively slated for March 18 at 7:30 p.m. at Salyersville City Hall.